[Wanted]
Please echo the calculation results further down from the first line to the one with "_cell_length_b 10.916" word for word.

[Given]
+++
Diffraction record for Nd8Dy2Er3. The X-ray diffraction stick pattern is simulated, not measured: it uses the GGA-PBE geometry in Alexandria and Cu Kα (weighted mean of Kα1 and Kα2).
Peak positions follow from Bragg's law for the DFT cell and can differ from measured ones.

Largest 10 diffraction maxima, by angle, 10 to 90 degrees two-theta:
two_theta  Rel. int.
24.66  24
29.25  43
30.56  34
31.26  44
33.04  100
35.15  23
40.22  13
47.75  19
56.78  21
63.62  12

Structural model:
```
data_Nd8Dy2Er3
_chemical_formula_sum 'Nd8 Dy2 Er3'
_space_group_name_H-M_alt 'P 1'
_space_group_IT_number 1
_cell_length_a 10.916
_cell_length_b 10.916
_cell_length_c 5.722
_cell_angle_alpha 90.01
_cell_angle_beta 90.01
_cell_angle_gamma 41.41
loop_
_space_group_symop_operation_xyz
'x,y,z'
loop_
_atom_site_label
_atom_site_type_symbol
_atom_site_fract_x
_atom_site_fract_y
_atom_site_fract_z
Nd1 Nd 0.099 0.690 0.000
Nd2 Nd 0.173 0.173 0.501
Nd3 Nd 0.310 0.901 0.000
Nd4 Nd 0.369 0.369 0.500
Nd5 Nd 0.631 0.631 0.500
Nd6 Nd 0.690 0.099 0.000
Nd7 Nd 0.827 0.827 0.499
Nd8 Nd 0.901 0.310 0.000
Dy1 Dy 0.260 0.260 0.001
Dy2 Dy 0.740 0.740 0.999
Er1 Er 0.215 0.785 0.500
Er2 Er 0.500 0.500 0.000
Er3 Er 0.785 0.215 0.500
```

----------

Calculated powder diffraction line list
Compound: Cs2Mg2TlF7
Radiation: λ = 1.5418 Å (Cu Kα)
Structure: a DFT-relaxed cell (GGA-PBE, Alexandria)
No peak broadening, texture or thermal motion is included.

Top 12 peaks for 2θ = 10–80°, by intensity:
- 28.59°, intensity 100, hkl 1 0 5
- 38.13°, intensity 59, hkl 1 1 6
- 30.08°, intensity 57, hkl 1 1 0
- 21.49°, intensity 51, hkl 1 0 1
- 52.50°, intensity 38, hkl 2 1 5
- 43.05°, intensity 37, hkl 2 0 0
- 22.88°, intensity 25, hkl 0 0 6
- 48.07°, intensity 16, hkl 1 0 11
- 33.86°, intensity 15, hkl 1 1 4
- 75.63°, intensity 14, hkl 3 1 6
- 49.70°, intensity 14, hkl 1 1 10
- 59.20°, intensity 14, hkl 2 0 10

abc: 4.202 4.202 23.318
angles: 90.00 90.00 90.00
Space group I4/mmm (No. 139)
One atom of each set of equivalent atoms:
Cs: 0.000 0.000 0.185
Mg: 0.000 0.000 0.412
Tl: 0.000 0.000 0.000
F: 0.000 0.000 0.326
F: 0.000 0.000 0.500
F: 0.000 0.500 0.088

----------

For LuZn4FeO7, a DFT-relaxed cell (PBE+U, Alexandria) gives the theoretical PXRD pattern in this record (copper Kα).
Kinematic intensities with the Lorentz-polarization factor, no thermal factor.

Largest 10 diffraction maxima, by angle, 2θ from 15° to 90°:
| (hkl) | 2theta | intensity |
| --- | --- | --- |
| 1 0 0 | 30.69 | 28.8 |
| 1 0 1 | 30.81 | 25.0 |
| 0 0 12 | 32.29 | 32.7 |
| 1 0 6 | 34.79 | 100.0 |
| 1 0 12 | 45.15 | 21.2 |
| 1 1 0 | 54.57 | 39.0 |
| 1 0 18 | 59.21 | 29.7 |
| 1 1 10 | 61.82 | 12.2 |
| 1 1 12 | 64.84 | 25.6 |
| 2 0 6 | 66.36 | 15.5 |

a b c (Å): 3.364 3.364 33.269
angles (deg): 90.00 90.00 120.00
Fractional coordinates of all 26 atoms:
Lu 0.000 0.000 0.000
Lu 0.000 0.000 0.500
Zn 0.000 0.000 0.170
Zn 0.000 0.000 0.330
Zn 0.000 0.000 0.670
Zn 0.000 0.000 0.830
Zn 0.333 0.667 0.092
Zn 0.333 0.667 0.408
Zn 0.667 0.333 0.592
Zn 0.667 0.333 0.908
Fe 0.333 0.667 0.250
Fe 0.667 0.333 0.750
O 0.000 0.000 0.110
O 0.000 0.000 0.250
O 0.000 0.000 0.390
O 0.000 0.000 0.610
O 0.000 0.000 0.750
O 0.000 0.000 0.890
O 0.333 0.667 0.032
O 0.333 0.667 0.189
O 0.333 0.667 0.311
O 0.333 0.667 0.468
O 0.667 0.333 0.532
O 0.667 0.333 0.689
O 0.667 0.333 0.811
O 0.667 0.333 0.968

----------

CsK6Rb2Na2: theoretical PXRD pattern (Cu Kα (weighted mean of Kα1 and Kα2)), based on DFT lattice parameters and positions (PBE).
Neutral-atom scattering factors, no anomalous dispersion.

Structural model:
abc: 8.6990 8.7499 11.5105
angles: 78.29 86.08 69.74
Fractional positions:
Cs: 0.0000 0.0000 0.0000
K: 0.1232 0.7424 0.6538
K: 0.3281 0.4712 0.3447
K: 0.3944 0.9485 0.3402
K: 0.6056 0.0515 0.6598
K: 0.6719 0.5288 0.6553
K: 0.8768 0.2576 0.3462
Rb: 0.3326 0.3337 0.9753
Rb: 0.6674 0.6663 0.0247
Na: 0.1289 0.2385 0.6365
Na: 0.8711 0.7615 0.3635

The 10 most intense peaks (2θ = 10–90°), low angle first:
+++

[Reply]
Diffraction record for Nd8Dy2Er3. The X-ray diffraction stick pattern is simulated, not measured: it uses the GGA-PBE geometry in Alexandria and Cu Kα (weighted mean of Kα1 and Kα2).
Peak positions follow from Bragg's law for the DFT cell and can differ from measured ones.

Largest 10 diffraction maxima, by angle, 10 to 90 degrees two-theta:
two_theta  Rel. int.
24.66  24
29.25  43
30.56  34
31.26  44
33.04  100
35.15  23
40.22  13
47.75  19
56.78  21
63.62  12

Structural model:
```
data_Nd8Dy2Er3
_chemical_formula_sum 'Nd8 Dy2 Er3'
_space_group_name_H-M_alt 'P 1'
_space_group_IT_number 1
_cell_length_a 10.916
_cell_length_b 10.916